Tuesday, June 19, 2012

Lets get real....

Readers, I have to be honest with you.  I started this blog because I thought it would be a great way to document our planning process.  I hoped it would be a great thing to look back on and to help me remember all the details.  I also thought (knowing I'm somewhat stress/worry prone) that it might be a good outlet for me if needed.  Well, I think we've done a great job using it to keep you guys (and my future forgetful self) updated, and sure, I've thrown in some thoughts and emotions throughout, but this post includes no updates.  In reality, there aren't a lot of updates to share, thus the purpose of this post....

### Someone pasted crystal structures at this point
(1)
An optimized crystal structure of Zn2SiTc. Source: the Alexandria database, functional PBE.

a b c (Å): 4.3336 4.3336 4.3336
angles (deg): 60.00 60.00 60.00
Last column: nearest neighbours and their distance in Å.
Sites, in units of the cell vectors:
Si: 0.0000 0.0000 0.0000  8 Zn 2.65
Zn: 0.2500 0.2500 0.2500  4 Tc 2.65, 4 Si 2.65
Zn: 0.7500 0.7500 0.7500  4 Si 2.65, 4 Tc 2.65
Tc: 0.5000 0.5000 0.5000  8 Zn 2.65

Calculated values
- energy relative to the elements, uncorrected (eV/atom) = 0.469
- total energy (Ha/atom) = -0.151
- total magnetic moment (Bohr magnetons per cell) = 0.00

=====

(2)
An optimized crystal structure of ZnSiTc2. Source: the Alexandria database, functional PBE.

a b c (Å): 4.2859 4.2859 4.2859
angles (deg): 60.00 60.00 60.00
Last column: nearest neighbours and their distance in Å.
Sites, in units of the cell vectors:
Tc: 0.0000 0.0000 0.0000  4 Tc 2.62, 4 Zn 2.62
Si: 0.5000 0.5000 0.5000  4 Tc 2.62, 4 Zn 2.62
Zn: 0.7500 0.7500 0.7500  4 Si 2.62, 4 Tc 2.62
Tc: 0.2500 0.2500 0.2500  4 Si 2.62, 4 Tc 2.62

Calculated values
- energy relative to the elements, uncorrected (eV/atom) = 0.079
- total energy (Ha/atom) = -0.249
- total magnetic moment (Bohr magnetons per cell) = 0.00

=====

(3)
An optimized crystal structure of ZnSiTc2. Source: the Alexandria database, functional PBE.

a b c (Å): 3.0564 3.0564 5.8847
angles (deg): 90.00 90.00 90.00
Last column: nearest neighbours and their distance in Å.
Sites, in units of the cell vectors:
Zn: 0.0000 0.0000 0.5101  4 Si 2.58, 5 Tc 2.62-2.77
Si: 0.5000 0.5000 0.7509  4 Tc 2.55, 4 Zn 2.58
Tc: 0.0000 0.0000 0.9814  4 Si 2.55, 4 Tc 2.70, 1 Zn 2.77
Tc: 0.5000 0.5000 0.2576  4 Zn 2.62, 4 Tc 2.70, 1 Si 2.90

Calculated values
- energy relative to the elements, uncorrected (eV/atom) = -0.139
- total energy (Ha/atom) = -0.257
- total magnetic moment (Bohr magnetons per cell) = 0.00

=====

(4)
An optimized crystal structure of ZnSiTc2. Source: the Alexandria database, functional PBE.

a b c (Å): 3.8132 2.8091 5.6807
angles (deg): 68.81 90.00 90.00
Last column: nearest neighbours and their distance in Å.
Sites, in units of the cell vectors:
Tc: 0.0000 0.8616 0.9871  2 Si 2.42, 2 Zn 2.64
Si: 0.5000 0.7500 0.7500  4 Tc 2.42, 2 Zn 2.68
Zn: 0.5000 0.2500 0.2500  8 Tc 2.64-2.87, 2 Si 2.68, 2 Zn 2.81
Tc: 0.0000 0.6384 0.5129  2 Si 2.42, 2 Zn 2.64

Calculated values
- energy relative to the elements, uncorrected (eV/atom) = -0.037
- total energy (Ha/atom) = -0.253
- total magnetic moment (Bohr magnetons per cell) = 0.00

=====

(5)
An optimized crystal structure of Zn2SiTc. Source: the Alexandria database, functional PBE.

a b c (Å): 4.6890 4.6890 4.8182
angles (deg): 83.54 83.54 33.00
Last column: nearest neighbours and their distance in Å.
Sites, in units of the cell vectors:
Zn: 0.9917 0.9917 0.9840  5 Zn 2.56-2.71, 4 Si 2.69-2.83, 2 Tc 2.76
Tc: 0.2536 0.2536 0.2773  3 Si 2.58-2.62, 2 Tc 2.66, 7 Zn 2.74-2.89
Zn: 0.7429 0.7429 0.7762  5 Zn 2.56-2.71, 1 Si 2.71, 4 Tc 2.74-2.77

Javs and I are in a wedding planning slump.  We've hit a lull and we're having some trouble yanking ourselves out of it.
The Slowskys from the
Xfinity commericals
It happened earlier in our planning; right after we booked the big vendors, but before we hit the ground running on the smaller (but still important) vendors, i.e. florist, transportation, etc.  We came out of that haze with our feet running and were super productive for a month or so, but I've felt our productivity dwindling since then.  Recently, it feels like The Slowskys could beat us in a wedding planning race to productivity. 

Sure, I'm still emailing vendors and we're both doing some research.  Next on the to-do list that we're in the process of working out, but just can't seem to solidify: 1) ceremony music.  We've been in touch with Sam Hill Entertainment about having a guitarist play for our ceremony.  We've listened to three guys, they're all great and could all play the song I want to walk down the aisle to, but for some reason we keep shuffling our feet on pulling the trigger.  2) Invitations.  Ohhhhhh invitations. Man I'm in love with Javier.  When I came home from work yesterday, he had a list of his favorite invitations from the websites I had given him to start looking at.  He is the most involved and devoted groom I know.  And I know he often participates cause he knows how much it means to me.  He is awesome.  Oh. but we still haven't picked invitations.  3) Hair/Makeup for me and the ladies on the big day.  I have been emailing salons for over a month.  It doesn't help that most take forever to get back to me (and often don't include all the information I asked for in their response).  In addition, the quotes we're getting are coming in a wee bit higher than we thought to be reasonable. 

I have to preface this video by saying that my dad (and mom) have been unbelievably wonderful about all things wedding.  They've let me and Javs take the lead on decisions and continually agreed to go over 'budget' on items that they know we really want.  But when I shared some of the salon prices with them both, my dad said he couldn't help but feel he had reached his George Banks Hot Dog Bun moment: (this was one of the movies that we watched as a family over and over again growing up.  Ever since he mentioned this scene I've desperately wanted to watch the movie...I bet I have a different perspective this time....either way - this scene is hilarious!)

Needless to say, I emailed two more salons yesterday and have fingers and toes crossed :)

I also know we're slacking because my Iphone camera roll is usually chocked full of wedding related documentary so that I can provide visuals for my update posts.  Check  out some of Iphone pics I see before getting to even one wedding related pic...
my engagement ring while I'm driving
embarrassing that I took this pic?
maybe a little, but it looks awesome
so i had to take a pic and show Javs
(okay, maybe slightly wedding related)
Cvent was building excitement about
an acquisition announcement
(that came out today)
but I didn't realize this so I took a pic
and asked Alexa & Jo if they knew
what all this was about?
whose my crowd?

Daddy-o's hot new ride :)
(that he let both me and javs drive!)

watching Mom try to guess my 'swan'
in drawsome, but LOOK!
there is no 's' - FAIL drawsome
This procrastination is completely reminding me of college (not that I ever procrastinated in college Mom & Dad...).  But there are a lot of similarities.  You know, that feeling that there are 192873 things that you should be doing every time you walk in the door at home.  Read a chapter for tomorrow : just decide on your ceremony readings.  Start that paper that's due next Wednesday : check out that new invitation site you saw on Green Wedding shoes today.  Email your group to meet this weekend : schedule your hair trial.  There is always something.  But sometimes you just go to $2 pitcher night instead.  Sometimes you watch 2 hours of How I Met your Mother streaming on Netflix.  It happens.  I still graduated and I'm sure our wedding will still get planned.

Next to the article, the page also holds records of crystals:
# 1
# SrLiCl2

A relaxed SrLiCl2 crystal (PBE-GGA, the Alexandria database).

```
4
Lattice="4.3768 0.0000 0.0000 0.0000 3.7076 0.0000 -1.6883 0.0000 7.7201" Properties=species:S:1:pos:R:3 pbc="T T T"
Sr 0.0000 0.0000 0.0000
Li -0.8441 0.0000 3.8600
Cl -0.0535 1.8538 2.3404
Cl 2.7420 1.8538 5.3796
```

## Properties
E_form (uncorrected) ... -6.37 eV per formula unit
Energy relative to the lowest polymorph listed for this composition ... 55 meV/atom
Symmetry ... P2/m, No. 10
Energy ... -13.7 eV per cell

***

# 2
# VZn2Re

A relaxed VZn2Re crystal (PBE-GGA, the Alexandria database).

```
4
Lattice="0.0000 3.0443 3.0443 3.0443 0.0000 3.0443 3.0443 3.0443 0.0000" Properties=species:S:1:pos:R:3 pbc="T T T"
V 0.0000 0.0000 0.0000
Zn 1.5222 1.5222 1.5222
Zn 4.5665 4.5665 4.5665
Re 3.0443 3.0443 3.0443
```

## Properties
Energy relative to the lowest polymorph listed for this composition ... 0 meV/atom
Symmetry ... Fm-3m, No. 225
ΔE_f ... 342.6 meV per atom
Energy ... -22.7 eV per cell

***

# 3
# Pr6PS4

A relaxed Pr6PS4 crystal (PBE-GGA, the Alexandria database).

```
22
Lattice="2.0292 -6.7117 0.0000 2.0292 6.7117 0.0000 0.0000 0.0000 20.7301" Properties=species:S:1:pos:R:3 pbc="T T T"
Pr 0.0000 0.0000 0.0000
Pr 0.0000 0.0000 10.3651
Pr 2.0292 4.4718 15.5476
Pr 2.0292 3.0218 1.8918
Pr 2.0292 3.0218 8.4733
Pr 2.0292 0.7907 13.8409
Pr 2.0292 0.7907 17.2543
Pr 2.0292 -0.7907 3.4759
Pr 2.0292 -0.7907 6.8892
Pr 2.0292 -3.0218 12.2569
Pr 2.0292 -3.0218 18.8383
Pr 2.0292 -4.4718 5.1825
P 2.0292 4.3535 5.1825
P 2.0292 -4.3535 15.5476
S 2.0292 5.6020 12.9783
S 2.0292 5.6020 18.1169
S 2.0292 1.8929 11.1751
S 2.0292 1.8929 19.9201
S 2.0292 -1.8929 0.8101
S 2.0292 -1.8929 9.5550
S 2.0292 -5.6020 2.6132
S 2.0292 -5.6020 7.7518
```

## Properties
E_form (uncorrected) ... -18.80 eV per formula unit
Symmetry ... Cmcm, No. 63
Energy ... -138.8 eV per cell

***

# 4
# PmNdSm5Y2

A relaxed PmNdSm5Y2 crystal (PBE-GGA, the Alexandria database).

```
18
Lattice="2.8562 -10.1356 0.0000 2.8562 10.1356 0.0000 0.0000 0.0000 10.6931" Properties=species:S:1:pos:R:3 pbc="T T T"
Pm 2.8562 6.0269 5.3465
Pm 2.8562 -6.0269 0.0000
Nd 2.8562 1.7335 10.0689
Nd 2.8562 -1.7335 4.7224
Sm 2.8562 9.7676 5.5064
Sm 2.8562 4.4209 8.5473
Sm 2.8562 4.1101 2.0873
Sm 2.8562 2.1719 5.5096
Sm 2.8562 0.4514 2.4532
Sm 2.8562 -0.4514 7.7998
Sm 2.8562 -2.1719 0.1631
Sm 2.8562 -4.1101 7.4338
Sm 2.8562 -4.4209 3.2008
Sm 2.8562 -9.7676 0.1599
Y 2.8562 7.8764 2.3846
Y 2.8562 7.7747 8.7000
Y 2.8562 -7.7747 3.3534
Y 2.8562 -7.8764 7.7311
```

## Properties
Symmetry ... Cmc2_1, No. 36
ΔE_f ... 144.9 meV per atom
Energy ... -89.5 eV per cell

...but I graduated because I would eventually (however so late) buckle down and get it done.  So here's to hoping that writing this post (and whatever little pushes it results in from our reader audience) will be what we need to hit the ground running, buckle down and get some planning done!

Wednesday, June 13, 2012

Two down...one to go!

### Someone pasted calculated crystals at this point
~~~
The following is a PBE-GGA calculation of crystalline NpTcP2Ir2 at its relaxed geometry, from the Alexandria database.

Calculated values
- Energy of formation: -0.40 eV/atom
- Energy: -54.2 eV for the cell shown
- Space group: P-3m1 (164)

Unit cell a=4.155 b=4.155 c=6.393 alpha=90.00 beta=90.00 gamma=120.00
Site moments in Bohr magnetons follow the coordinates.
Positions (direct):
Np 0.000 0.000 0.000  3.17
Tc 0.000 0.000 0.500  -0.22
P 0.667 0.333 0.679  -0.01
P 0.333 0.667 0.321  -0.01
Ir 0.667 0.333 0.281  -0.16
Ir 0.333 0.667 0.719  -0.16

----------

The following is a GGA-PBE calculation of crystalline LaTb4S5 at its relaxed geometry, from the Alexandria database.

Geometry as CIF:
```
data_LaTb4S5
_space_group_name_H-M_alt 'I m m m'
_space_group_IT_number 71
_space_group_name_Hall '-I 2 2'
_cell_length_a 3.961
_cell_length_b 5.627
_cell_length_c 19.919
_cell_angle_alpha 90.00
_cell_angle_beta 90.00
_cell_angle_gamma 90.00
loop_
_atom_site_label
_atom_site_type_symbol
_atom_site_fract_x
_atom_site_fract_y
_atom_site_fract_z
La1 La 0.000 0.000 0.000
Tb1 Tb 0.000 0.000 0.202
Tb2 Tb 0.000 0.000 0.400
S1 S 0.000 0.500 0.000
S2 S 0.000 0.500 0.199
S3 S 0.000 0.500 0.394
```

Computed properties:
DFT total energy	-128.71	eV per cell
density of states at the Fermi level	0.51	states/eV/atom
theoretical density	6.993	g cm⁻³
raw formation energy	-2.027	eV per atom

***

The following is a GGA-PBE calculation of crystalline LaTb2S4 at its relaxed geometry, from the Alexandria database.

Geometry as CIF:
```
data_LaTb2S4
_space_group_name_H-M_alt 'C m c m'
_space_group_IT_number 63
_space_group_name_Hall '-C 2c 2'
_cell_length_a 3.931
_cell_length_b 13.051
_cell_length_c 13.288
_cell_angle_alpha 90.00
_cell_angle_beta 90.00
_cell_angle_gamma 90.00
loop_
_atom_site_label
_atom_site_type_symbol
_atom_site_fract_x
_atom_site_fract_y
_atom_site_fract_z
La1 La 0.000 0.122 0.250
Tb1 Tb 0.000 0.370 0.067
S1 S 0.000 0.000 0.000
S2 S 0.000 0.272 0.620
S3 S 0.000 0.460 0.250
```

Computed properties:
DFT total energy	-182.39	eV per cell
ΔE to the lowest computed polymorph	0	meV/atom
density of states at the Fermi level	0.27	states/eV/atom
theoretical density	5.701	g cm⁻³
raw formation energy	-2.129	eV per atom

***

The following is a GGA-PBE calculation of crystalline La6TbS8 at its relaxed geometry, from the Alexandria database.

Geometry as CIF:
```
data_La6TbS8
_space_group_name_H-M_alt 'F m -3 m'
_space_group_IT_number 225
_space_group_name_Hall '-F 4 2 3'
_cell_length_a 11.700
_cell_length_b 11.700
_cell_length_c 11.700
_cell_angle_alpha 90.00
_cell_angle_beta 90.00
_cell_angle_gamma 90.00
loop_
_atom_site_label
_atom_site_type_symbol
_atom_site_fract_x
_atom_site_fract_y
_atom_site_fract_z
La1 La 0.000 0.250 0.250
Tb1 Tb 0.000 0.000 0.000
S1 S 0.000 0.000 0.239
S2 S 0.250 0.250 0.250
```

Computed properties:
DFT total energy	-398.36	eV per cell
density of states at the Fermi level	0.54	states/eV/atom
theoretical density	5.179	g cm⁻³
~~~

bridesmaid dresses that is :)  Wonderful BM Jessica went on a shopping marathon of her own one day and kept me updated via poor quality Iphone pics throughout!  I was sad I couldn't be with her, but it made for a fun afternoon at work, waiting for new image texts from Jess as she bounced from dressing room to dressing room.  Since we picked a dress (YAY!), I figured it was time to share her dress journey with you devoted readers.

Dress Numero Uno.  I think we both actually liked this one a lot!  Its hard to tell the exact color with that dressing room lighting, but I think we were a bit concerned it was too light.  The color combined with the style (a bit of a lacey look) made me a little nervous about how it would appear next to my own dress on the day of.  (Certainly not close enough to confuse our guests, 'which one is the bride?' but maybe a little too close for pictures, etc?)  Its been too long now, but I think there were some other reasons we decided Jess should leave it there and only come back for it if other options were not found.

Jessica's trip was timed impeccably because she was due in DC for a conference the following week, and therefore, planned to bring her finds with her to show me in person. (YAY!)  And she was successful at her other stops, cause she ended up bringing both of the following dresses to DC!

The one on the left: we really liked the blousy top.  It gave the dress that flowy quality that I talked about (making it feel romantic).  But the skirt was tighter and showed off wifey's hips and bum ;)  I was still a little concerned about the color, was it too light?
The one on the right: we also really liked.  The lacey pattern gave it the soft, romantic feel we wanted and, as you can tell, it was obviously a bit darker.

So, one night during her visit (after margaritas, a pitcher and some brew from churchkey...) Jess tried on the dresses for me and Javs.  We all agreed on the dress that should be 'the dress!'  It was pretty and romantic, but looked darn good on wifey.  (We felt like the other just didn't do much for her....and I'm always a fan of a dress that looks good when you're in it.)  Can you guess what we picked?

Here they are together, our two out of three BM dresses :)  (I chose the store pictures b/c I think they give you a better feel for the actual colors of the dresses.)  What do we think?  I'm not gonna lie, I've been somewhat worried about how my 'just find a dress on the 'brown' spectrum' was going to turn out, but I. am. pumped.  I think these are both beautiful dresses that my ladies completely rock. I love that they're different, but compliment each other and I can't wait to see what Isabel adds to the mix :)

Thursday, June 7, 2012

A dress in the making!

All the important ladies in the wedding are working hard to find dresses!  Some of us have found some success, including our MOG! Mrs. Cabezas has a great idea for her 'Mother of the Groom' dress that I wanted to share with each of you.  Interestingly, it was on her (one of many) trip to Charlottesville, that she stopped to look at some fabric and finally came across what she had been looking for!

Left: possible shoes
Center: possible accent material for cuff/sleeve
Right: material for dress
You see, Mrs. Cabezas has decided to have her dress made for the wedding!  So instead of scouring the racks looking for the right fit, she's been feeling the fabrics in hopes of finding the perfect one for her vision.  After some careful thought (and a successful visit to the Colonade Club/Pavilion VII) she decided to go back and buy the fabric she had such a good feeling about!

You'll have to excuse my poor pictures, they were taken with my phone in probably less than ideal light, but you can see the fabric here.  Its a beautiful tealy-blue (I think it has more green in it than this picture lends you to believe).  What the photo doesn't portray very well is the flowiness (is that a word?) of the material.  Its going to make a very beautiful and elegant dress!  In the picture you can also see some accessories that are still up for debate as well.

this is a photo of a photo that really
doesn't do the actual photo justice
Not only is Mrs Cabezas having her dress made, she's decided to ask the tailor to mimic the shape and design of her own wedding dress (how special!).  Here are Mr. and Mrs. Cabezas on their own wedding day (New Years Eve!).  Mrs Cabezas brought the dress out to show me when we were visiting the other night, but I decided to take a photo of this picture instead of the dress on its hanger, because it just wouldn't do it justice.  Mrs. Cabezas recalled her sisters having a similar reaction when she showed them her wedding dress (on the hanger) the first time.  While it's certainly pretty, you have to see it on to get the full affect.  As you can see here, it's super classy and incredibly feminine.  I absolutely love it.  I can't wait to see the recreation with the new teal fabric.

It's super exciting to see our friends and family picking out fancy digs to wear on the big day!  Now, if only Javs and I could decide what those boys in the wedding will be wearing....

Monday, June 4, 2012

Practice makes perfect!

And practice we shall!  Or, rehearse, at least.
Rehearsing your wedding ceremony prior to your wedding day is somewhat of a norm so that all those wonderful people you've asked to participate have a chance to get to town and settle in, learn where they stand, when they walk, etc.  In addition, it gives me and Audrey a chance to walk through everything once since chances are we'll be somewhat nervous on the big day with everyone watching!  After our wedding rehearsal, we will, as many couples do, be inviting the folks in the wedding to join us for dinner.  My mom has very kindly and generously offered to host said dinner and has been helping search for a location for the rehearsal dinner nearly since our first trip to Charlottesville almost 7 months ago.

Mom has been incredibly patient with me and Audrey as we've danced around Charlottesville on a number of visits, scoping out possible rehearsal dinner locales.  She and Isabel even travelled to Cville on their own time to try a few of the potential restaurants we were looking at for dinner.  It's definitely been a process in its own right!  And I'm not sure we could even put our finger on exactly what we had so much trouble with: some of the restaurants ended up being too small for our group; others were so unresponsive to our inquiries that we felt uncomfortable with their service level; a few offered less than optimal set ups/privacy; and one or two fell below expectations as far as food quality.  Very troublesome indeed.

And then we got creative.  Instead of looking at restaurants for our rehearsal dinner, we turned to good ol' UVA.  No, not the Rotunda.  Unfortunately, because it's being renovated, you can't rent out the Dome Room until 2014.  But we did get to another iconic UVA building: Pavilion VII - the original building of The Lawn!  For those who don't know, Thomas Jefferson was brilliant.  In order to be able to build all 10 pavilions and the Rotunda, as he had originally intended, he decided to build them in sporadic order so that government officials would continue to provide him funding.  So he started with Pavilion VII and hopped around the Lawn, eventually constructing the Rotunda later on.  Pretty cool!

UVA has a special place in both mine and Audrey's heart, and we are SUPER excited to be able to have our rehearsal dinner right on Grounds!  It may have taken a while to find the venue, but we are so excited about that my mom was willing to keep looking around and that we were able to reserve Pavilion VII!  So on October 12, we'll rehearse the ceremony itself and then head on back to Pavilion VII for some delicious eats with some of our favorite people in the whole world at one of our favorite places in the whole world!